The Misty Vixen Newsletter | September 2024

I’m finally back. First thing’s first…


I managed to get Goblin Girls Do It Better III out.

(Data records, kept here for reference)
********
Starting from a crystal structure in Alexandria, relaxed with GGA-PBE, the X-ray powder pattern of Sr2Zn5Ni5 was simulated for λ = 1.5418 Å (Cu Kα).
Neutral-atom scattering factors, no anomalous dispersion.

Structure:
Cell lengths 3.968, 5.334, 9.288 Å; angles 90.00, 90.00, 90.00 degrees
Sites, in units of the cell vectors:
Sr (0.000, 0.000, 0.000)
Sr (0.000, 0.500, 0.500)
Zn (0.000, 0.000, 0.321)
Zn (0.000, 0.000, 0.679)
Zn (0.000, 0.500, 0.167)
Zn (0.000, 0.500, 0.833)
Zn (0.500, 0.000, 0.500)
Ni (0.500, 0.252, 0.248)
Ni (0.500, 0.252, 0.752)
Ni (0.500, 0.500, 0.000)
Ni (0.500, 0.748, 0.248)
Ni (0.500, 0.748, 0.752)

Top 12 peaks for 15 to 90 degrees two-theta, low angle first:
- 2θ = 29.7°, intensity 28
- 2θ = 33.5°, intensity 25
- 2θ = 38.8°, intensity 18
- 2θ = 38.9°, intensity 27
- 2θ = 40.6°, intensity 100
- 2θ = 40.8°, intensity 48
- 2θ = 45.4°, intensity 30
- 2θ = 45.7°, intensity 37
- 2θ = 64.9°, intensity 24
- 2θ = 70.3°, intensity 18
- 2θ = 81.1°, intensity 18
- 2θ = 88.0°, intensity 22

* * * * *

Starting from a cell relaxed with PBE, the powder diffractogram of RbPa2AlO8 was calculated for Cu Ka.

Crystal structure
a = 6.6100 Å, b = 6.6301 Å, c = 8.1715 Å
α = 90.00°, β = 90.00°, γ = 90.00°
Space group Cmmm (No. 65)
Inequivalent atoms, fractional coordinates:
Rb 0.0000 0.0000 0.0000 x2
Pa 0.0000 0.5000 0.2897 x4
Al 0.0000 0.0000 0.5000 x2
O 0.0000 0.1982 0.3164 x8
O 0.1111 0.5000 0.0000 x4
O 0.2088 0.5000 0.5000 x4

The 10 most intense peaks (10° ≤ 2θ ≤ 80°), sorted by position:
| 2θ/deg | I (rel.) |
| --- | --- |
| 19.0 | 78 |
| 21.9 | 19 |
| 26.9 | 100 |
| 29.0 | 99 |
| 34.9 | 22 |
| 38.5 | 27 |
| 43.0 | 25 |
| 48.8 | 30 |
| 48.9 | 32 |
| 63.9 | 17 |


Starting from a cell relaxed with PBE, the powder diffractogram of Pa3AlSe2O6 was calculated for Cu Ka.

Crystal structure
a = 12.6886 Å, b = 7.6109 Å, c = 5.9572 Å
α = 90.00°, β = 109.37°, γ = 90.00°
Space group C2/m (No. 12)
Inequivalent atoms, fractional coordinates:
Pa 0.0000 0.0000 0.0000 x2
Pa 0.2500 0.2500 0.5000 x4
Al 0.0000 0.5000 0.5000 x2
Se 0.1816 0.0000 0.7957 x4
O 0.0959 0.1967 0.2350 x8
O 0.1796 0.5000 0.5633 x4

The 10 most intense peaks (10° ≤ 2θ ≤ 80°), sorted by position:
| 2θ/deg | I (rel.) |
| --- | --- |
| 13.8 | 75 |
| 14.8 | 40 |
| 17.7 | 100 |
| 22.8 | 54 |
| 25.1 | 65 |
| 27.8 | 63 |
| 28.3 | 84 |
| 35.9 | 37 |
| 37.4 | 58 |
| 38.6 | 49 |
********
(End of the data records)

On the personal front, I’m basically healed up and back to normal. And that is very nice.

That being said, there were…other mental health concerns, as per usual, that slowed production. The good news is that I actually managed to get some work done on Lakeside Cougars. Right now, I’d say it’s about 2/3 done. I have to say, it’s grown. It might end up being the longest book I’ve ever written. Honestly, I’m kind of excited. And really hope this series does well. I’ve got a good idea of what’s going to happen across the trilogy, but I’m almost 80,000 words into the story and perhaps halfway to where I thought I was going to be. Slice of life is definitely a lot more freeform than adventure and offers a lot more opportunity to follow narrative side paths that occur to me. And apparently a bit more is occurring to me than I thought.

_What comes next are crystal structures, not part of the article_
'''
Simulated PXRD pattern of NaLi2NiF8 for Cu Kα, 1.54184 Å, from a crystal structure in Alexandria, relaxed with PBE+U.
Neutral-atom scattering factors, no anomalous dispersion.

Top 12 peaks for 10 to 90 degrees two-theta, in order of rising 2θ:
two_theta  I (rel.)  h k l
13.39  100  0 0 1
18.80  47  0 1 0
20.52  64  1 0 0
23.15  74  0 1 1
26.96  37  0 0 2
27.65  30  1 -1 0
28.27  62  1 1 0
34.12  32  1 0 2
39.01  86  1 -1 2
44.09  34  1 2 0
53.89  40  2 -1 2
54.61  27  2 1 2

Structural model:
```
data_NaLi2NiF8
_chemical_formula_sum 'Na1 Li2 Ni1 F8'
_cell_length_a 4.330
_cell_length_b 4.722
_cell_length_c 6.613
_cell_angle_alpha 90.01
_cell_angle_beta 90.06
_cell_angle_gamma 91.25
_space_group_name_H-M_alt 'P -1'
_space_group_IT_number 2
loop_
_space_group_symop_operation_xyz
'x,y,z'
'-x,-y,-z'
loop_
_atom_site_label
_atom_site_type_symbol
_atom_site_fract_x
_atom_site_fract_y
_atom_site_fract_z
Na1 Na 0.000 0.000 0.000
Li1 Li 0.500 0.500 0.279
Ni1 Ni 0.000 0.000 0.500
F1 F 0.223 0.845 0.300
F2 F 0.223 0.845 0.700
F3 F 0.249 0.310 0.500
F4 F 0.262 0.471 0.000
```

----------

Calculated X-ray powder pattern of Li2ZnCl4 for CuKα, from the PBE geometry in the Materials Project.
No peak broadening, texture or thermal motion is included.

Top 10 peaks for 10° ≤ 2θ ≤ 90°, in order of rising 2θ:
Position (°2θ), intensity
14.7, 46
24.1, 71
28.4, 54
29.7, 100
34.4, 18
37.6, 24
42.5, 31
45.2, 25
49.4, 88
58.7, 32

```
data_Li2ZnCl4
_chemical_formula_sum 'Li4 Zn2 Cl8'
_symmetry_space_group_name_H-M 'P 1'
_symmetry_Int_Tables_number 1
_cell_length_a 7.3747
_cell_length_b 7.3747
_cell_length_c 7.3747
_cell_angle_alpha 60.00
_cell_angle_beta 60.00
_cell_angle_gamma 60.00
loop_
_symmetry_equiv_pos_as_xyz
'x,y,z'
loop_
_atom_site_label
_atom_site_fract_x
_atom_site_fract_y
_atom_site_fract_z
_atom_site_occupancy
Li1 0.0000 0.0000 0.0000 1
Li2 0.0000 0.0000 0.5000 1
Li3 0.0000 0.5000 0.0000 1
Li4 0.5000 0.0000 0.0000 1
Zn1 0.3750 0.3750 0.3750 1
Zn2 0.6250 0.6250 0.6250 1
Cl1 0.2404 0.7532 0.7532 1
Cl2 0.2468 0.2468 0.2468 1
Cl3 0.2468 0.2468 0.7596 1
Cl4 0.2468 0.7596 0.2468 1
Cl5 0.7532 0.2404 0.7532 1
Cl6 0.7532 0.7532 0.2404 1
Cl7 0.7532 0.7532 0.7532 1
Cl8 0.7596 0.2468 0.2468 1
```

Calculated X-ray powder pattern of NaNpSeO6 for CuKα, from the PBE geometry in the Materials Project.
No peak broadening, texture or thermal motion is included.

Top 10 peaks for 10° ≤ 2θ ≤ 90°, in order of rising 2θ:
Position (°2θ), intensity
12.6, 100
13.9, 12
17.8, 15
22.1, 15
24.5, 29
25.3, 19
27.6, 28
29.1, 23
30.1, 32
46.7, 13

```
data_NaNpSeO6
_chemical_formula_sum 'Na2 Np2 Se2 O12'
_symmetry_space_group_name_H-M 'P 1'
_symmetry_Int_Tables_number 1
_cell_length_a 8.4170
_cell_length_b 8.4170
_cell_length_c 6.8422
_cell_angle_alpha 109.61
_cell_angle_beta 109.61
_cell_angle_gamma 51.19
loop_
_symmetry_equiv_pos_as_xyz
'x,y,z'
loop_
_atom_site_label
_atom_site_fract_x
_atom_site_fract_y
_atom_site_fract_z
_atom_site_occupancy
Na1 0.0370 0.0370 0.2913 1
'''
_Back to the article_

I have to say, this one feels pretty good to write. But it also is really damn uncertain. There’s a good reason no one has ever written a cougar harem before (besides the one time I tried to do it with Like A Fine Wine) and that reason is because older women do not sell in Haremlit, probably also not in Romance For Men in general. And I am committing to the main cast being women old enough to be the protagonist’s mother. Finding a balance between being true to that while also trying to keep the story appealing to the general audience has been…I’m not sure.

That’s the problem. I have no idea if I’m doing a good job or not. The people on my Patreon seem to like it, at least. But I have to do this. Besides being committed, this is a story I really want to tell, and have for years. If it isn’t obvious by now, I fucking love older women. I love cougars. I have had this love for a long time, but it was definitely solidified after a few…memorable encounters with noticeably older women.

Anyway, let’s have a looksee and what this upcoming month should expect.

  • LAKESIDE COUGARS: I fully intend to get this novel out this month. It will be going up for pre-order, and I would deeply appreciate it if you could pre-order. It’s becoming increasingly obvious to me that Amazon respects books with a high pre-order count more than the alternative, and the health of this novel is really important to me. I mean, the novel and series is, too, but a lesson I learned very painfully is that a series is only as good as its first book.

  • DEAD FREEZE 2: This is finally moving out of pre-production. I can basically guarantee that it will not come out this month, but it should be out in October. This one is less predictable because two of us are involved, but yeah, I’m going to be pushing as hard as I can on this in the background.

That’s it. Not a lot. Unfortunately, the past several months put me behind. I’m playing catchup to the catchup I was already playing when I started this year. Holy fuck, it’s September. 2024 is vanishing at an astonishing rate.

I’m not sure how the rest of the year is going to play out. The biggest conundrum is Our Own Way 5. I was really hoping to get it out this year, but at the same time, I really want to get Dead Freeze wrapped and typically speaking, you should release the first sequel to a new series as quickly as possible. What will probably happen is that I will try to burn through Dead Freeze 2/3 as quickly as possible, as well as Lakeside Cougars 1/2, and once those are out of my hands, I will take on Our Own Way 5. Hopefully this will all be achieved before 2025.